Please print the notes below from the first line to the one with "-2.2106 3.7963" without additions.
- - -
No. 1
Density functional theory data (ωB97M-V/def2-TZVPD) for a structure of composition C35H73BrCl2N4SSbSiTi.

Geometry as XYZ:
```
119
Properties=species:S:1:pos:R:3:mulliken_spin:R:1
C -0.1511 3.6988 3.5496 0.00
H -1.6428 5.6367 1.1853 0.00
C 1.5790 5.9868 0.0163 0.00
C -0.8222 5.8061 0.4934 0.00
H -2.2106 3.7963 4.1696 0.00
C -0.1468 2.2046 3.9272 0.00
C -0.8307 -3.5716 -6.1430 0.00
C 3.3211 -2.7582 2.6567 0.00
H 0.7402 1.9170 4.4849 0.00
H 2.6025 6.1040 0.3666 0.00
C 0.3761 4.4874 4.7658 0.00
H -1.5873 -3.2964 -6.8790 0.00
H -4.0462 -1.4295 1.5653 0.00
H -4.1630 1.1968 -0.8644 0.00
C -3.0479 -1.1449 1.9027 0.03
H -3.2364 -0.1125 -2.8694 -0.01
H 3.2014 -2.5119 0.5256 0.00
H 1.1177 -1.5020 4.8956 0.00
H 0.3295 5.5652 4.6216 0.00
C -1.5090 -4.7285 -1.3888 0.01
C 2.4736 -1.5840 -4.2900 0.00
C 2.7646 3.6337 2.1956 0.00
N -2.1007 -2.2015 1.4572 -0.02
H -0.9136 -4.9214 -2.2823 0.00
H -3.0738 -1.0690 2.9918 0.00
C 3.4269 3.2769 0.8544 0.00
H -0.2078 1.5549 3.0524 0.00
H -2.1488 -2.5220 -2.8118 0.00
H -0.1439 6.8659 2.8900 0.00
H -2.0334 3.6620 2.4104 0.00
H -4.9650 -0.1567 -2.6387 0.00
H 4.5490 4.5474 2.9951 0.00
C -0.6271 1.9758 -3.0291 0.00
H -1.9927 0.7856 -0.5285 0.01
H 0.1408 -3.5858 -0.9653 0.00
H 3.3031 -1.7091 -3.5927 0.00
C 2.9236 -1.8452 -5.7234 0.00
C 2.7098 -5.2819 -3.4479 0.00
H 3.5872 -4.6325 -3.4371 0.00
H -1.0979 -4.7496 2.7639 0.00
C 3.5099 4.8359 2.8127 0.00
H -1.2315 -2.0586 1.9793 -0.02
C -3.9118 0.1371 -0.8248 0.01
C -1.6106 4.1143 3.3115 0.00
H -1.0116 2.0034 4.5682 0.00
Ti -1.3197 -1.7237 -0.5210 1.05
H -3.5724 -4.2516 -0.9538 0.00
H 2.4601 1.5396 2.7810 0.00
H -4.6353 -0.3417 -0.1624 -0.01
C 0.5681 5.7380 1.1480 0.00
H 2.1033 -0.5662 -4.1601 0.00
H -1.6772 -5.6870 -0.8977 0.00
H -1.4316 -2.0049 -4.7716 0.00
H 3.0125 2.3590 0.4360 0.00
C 1.6115 -4.7284 -4.3549 0.00
H 0.1086 -0.6430 2.8298 0.00
Sb 0.8895 -2.8597 -3.6328 -0.01
Si 0.9170 4.0694 2.0053 0.00
H -1.2087 -4.4399 -5.5982 0.00
H -0.9499 6.8093 0.0763 0.00
Cl -0.4417 0.1953 -2.7017 0.00
H 3.0414 -6.2648 -3.7837 0.00
H 2.3714 -5.3896 -2.4139 0.00
N -2.7082 -2.6456 -1.9610 -0.02
H 1.3036 6.9151 -0.4926 0.00
H -4.7064 -2.3751 -1.4332 -0.01
H -3.0681 -3.5326 2.7657 0.00
H 2.1017 -1.7904 -6.4392 0.00
Br 0.1369 2.5204 0.4312 0.00
H -0.5699 2.0702 -4.1061 0.00
N -0.7361 -3.8314 -0.4882 -0.03
N -2.5673 0.0098 -0.1890 -0.02
Cl -2.1534 2.6320 -2.4764 0.00
H 3.5258 5.7074 2.1609 0.00
H 1.5598 5.1860 -0.7264 0.00
C -0.3496 -4.4375 0.8095 0.02
H 0.1916 2.4541 -2.5043 0.00
C 1.5458 -1.5866 1.5289 0.01
C 0.9750 -1.2942 2.7664 0.00
C 2.9863 2.4331 3.1250 0.00
H -0.0764 -1.5683 -5.7708 0.00
H 1.9768 -4.5802 -5.3703 0.00
C -0.5124 -2.4007 -5.2157 0.00
C 2.7356 -2.3071 1.4812 0.00
H 0.7650 -5.4137 -4.4178 0.00
H 1.6125 6.9063 2.7106 0.00
H 3.0877 5.1428 3.7718 0.00
C -4.0360 -2.0131 -2.2175 0.01
H 2.6930 2.6391 4.1534 0.00
H 0.5888 7.8424 1.6280 0.00
H -2.0214 -5.5997 1.5563 0.00
S 0.8363 -0.9975 0.0055 -0.07
H 0.1543 -5.3893 0.6288 0.00
C 2.7350 -2.4890 3.8864 0.00
C -2.6264 0.1744 1.2926 -0.05
H 4.0558 2.2021 3.1361 0.00
H -1.7219 5.1946 3.2305 0.00
C -2.6000 -3.5643 1.7800 0.03
H -3.3072 0.9808 1.5734 0.00
H 3.2018 -2.8351 4.7983 0.00
H 0.0521 -3.8977 -6.6918 0.00
H -3.3947 -3.7857 1.0666 -0.01
H -3.2652 -4.5841 -2.6503 0.00
H 1.4065 4.2259 5.0110 0.00
H -4.4211 -2.3891 -3.1673 0.00
C 1.5629 -1.7475 3.9400 0.00
H 3.3897 -2.8250 -5.8279 0.00
C 0.6691 6.8926 2.1640 0.00
H 3.3394 4.0601 0.1046 0.00
H 4.4935 3.1114 1.0344 0.00
H 0.3835 -3.7695 1.2602 -0.01
H 3.6646 -1.1047 -6.0276 0.00
C -2.8497 -4.1112 -1.7576 0.02
H -1.6291 0.4544 1.6316 0.03
H -0.9171 5.0919 -0.3257 0.00
C -1.5234 -4.6513 1.7639 0.01
H -0.2345 4.2502 5.6422 0.00
C -4.0192 -0.4914 -2.2094 0.02
H 4.2455 -3.3185 2.6105 0.00
```
- - -
No. 1
Density functional theory data (ωB97M-V/def2-TZVPD) for a structure of composition C35H73BrCl2N4SSbSiTi.

Geometry as XYZ:
```
119
Properties=species:S:1:pos:R:3:mulliken_spin:R:1
C -0.1511 3.6988 3.5496 0.00
H -1.6428 5.6367 1.1853 0.00
C 1.5790 5.9868 0.0163 0.00
C -0.8222 5.8061 0.4934 0.00
H -2.2106 3.7963 4.1696 0.00